An optimized crystal structure of Ba7Tl3O2. Source: Alexandria via LeMat-Bulk, functional PBE-GGA.

Cell and atoms, written as POSCAR:
```
Ba7Tl3O2
1.0
2.775 -13.485 0.000
2.775 13.485 0.000
0.000 0.000 5.581
Ba Tl O
7 3 2
direct
0.000 0.000 0.000
0.104 0.896 0.500
0.204 0.796 0.000
0.400 0.600 0.000
0.600 0.400 0.000
0.796 0.204 0.000
0.896 0.104 0.500
0.296 0.704 0.500
0.500 0.500 0.500
0.704 0.296 0.500
0.104 0.896 0.000
0.896 0.104 0.000
```

Properties
**Volume**: 418 Å³ per cell
**Crystal system**: orthorhombic
**Space group**: Cmmm (65)
**Formation energy without anion corrections**: -12.5 eV/f.u.

Copy the lines further up up to the one that holds "**Crystal system**:", that line included.

An optimized crystal structure of Ba7Tl3O2. Source: Alexandria via LeMat-Bulk, functional PBE-GGA.

Cell and atoms, written as POSCAR:
```
Ba7Tl3O2
1.0
2.775 -13.485 0.000
2.775 13.485 0.000
0.000 0.000 5.581
Ba Tl O
7 3 2
direct
0.000 0.000 0.000
0.104 0.896 0.500
0.204 0.796 0.000
0.400 0.600 0.000
0.600 0.400 0.000
0.796 0.204 0.000
0.896 0.104 0.500
0.296 0.704 0.500
0.500 0.500 0.500
0.704 0.296 0.500
0.104 0.896 0.000
0.896 0.104 0.000
```

Properties
**Volume**: 418 Å³ per cell
**Crystal system**: orthorhombic